Johan Knif, Seppo Pynnönen, and Martti Luoma (1995). Common autocorrelation features of index returns from two Scandinavian stock markets. In Proceedings of the 17th meeting of the Western Decision Sciences, San Francisco April 1995.

This paper empirically investigates, in the spirit of [1] and [3], the long run persistence of a common serial correlation feature in the index return series of two closely related Scandinavian equity markets; the Finnish and the Swedish stock markets. The time period covered starts in January 1920 and ends in December 1993 and consists of monthly index quotations and is analyzed as a complete series as well as split in four structurally different periods. Both of the return series seem to have an autocorrelation component present both before and after the second world war and this feature is more pronounced in the Helsinki return series. The strongest common autocorrelation feature is found in the period after the oil-crises. Nevertheless, the feature does not seem to be common over all the sub-periods considered. The common codependence in the last sub-period can be interpreted as a sign of increasing integration between the markets.

'''
[1]
MgZn2Bi3O8 | PBE | relaxed

a = 10.9835 Å, b = 6.8625 Å, c = 5.9068 Å
α = 90.00°, β = 113.88°, γ = 90.00°
Last column: nearest neighbours and their distance in Å.
Space group Cm (No. 8)
One atom of each set of equivalent atoms:
Mg  0.0000  0.0000  0.0000 [2 per cell]  3 O 2.03-2.11
Zn  0.1134  0.0000  0.5178 [2 per cell]  4 O 1.91-2.06
Zn  0.4424  0.0000  0.7724 [2 per cell]  4 O 2.01-2.10
Bi  0.1609  0.5000  0.5150 [2 per cell]  4 O 2.23-2.38
Bi  0.2888  0.2396  0.1213 [4 per cell]  5 O 2.23-2.39
O  0.1317  0.2113  0.2994 [4 per cell]  1 Zn 2.00
O  0.1402  0.0000  0.8577 [2 per cell]  1 Zn 1.91, 1 Mg 2.03
O  0.1514  0.5000  0.9102 [2 per cell]  1 Zn 2.10, 2 Bi 2.35
O  0.3774  0.2577  0.8392 [4 per cell]  1 Zn 2.01, 1 Mg 2.11
O  0.4128  0.5000  0.2936 [2 per cell]  1 Zn 2.06, 2 Bi 2.23, 1 Mg 2.30
O  0.4429  0.0000  0.4210 [2 per cell]  1 Zn 2.08, 1 Bi 2.23

Computed properties:
The formation energy comes out at -1.726 eV per atom. For the total energy, the calculation gives -5.289 eV/atom. The offset from the most stable computed form comes out at 73.5 meV per atom.


[2]
PrAlPd2 | PBE | relaxed

a = 7.6054 Å, b = 7.0976 Å, c = 5.9237 Å
α = 90.00°, β = 90.00°, γ = 90.00°
Last column: nearest neighbours and their distance in Å.
Space group Pnma (No. 62)
One atom of each set of equivalent atoms:
Pr  0.0321  0.2500  0.1534 [4 per cell]  8 Pd 3.08-3.36, 3 Al 3.18-3.22
Al  0.1188  0.7500  0.3466 [4 per cell]  6 Pd 2.59-2.67
Pd  0.1764  0.0534  0.5879 [8 per cell]  3 Al 2.59-2.67, 1 Pd 2.79

Computed properties:
The formation energy comes out at -0.868 eV per atom. For the total energy, the calculation gives -5.590 eV/atom.

~~~~~

# 1
LuFe2 | PBE-GGA | relaxed

Unit cell a=5.0531 b=5.0531 c=5.0531 alpha=60.00 beta=60.00 gamma=60.00
Closest atoms and distances in Å follow each position.
Fractional positions:
Lu (0.5000, 0.5000, 0.5000)  12 Fe 2.96, 4 Lu 3.09
Lu (0.7500, 0.7500, 0.7500)  12 Fe 2.96, 4 Lu 3.09
Fe (0.1250, 0.1250, 0.1250)  6 Fe 2.53
Fe (0.6250, 0.1250, 0.1250)  6 Fe 2.53
Fe (0.1250, 0.6250, 0.1250)  6 Fe 2.53
Fe (0.1250, 0.1250, 0.6250)  6 Fe 2.53

Results
The calculated formation energy comes out at -175 meV/atom. The space group is Fd-3m (227). The density is 10.4 g/cm³.


# 2
Lu4Fe | PBE-GGA | relaxed

Unit cell a=7.2433 b=7.2433 c=7.2433 alpha=60.00 beta=60.00 gamma=60.00
Closest atoms and distances in Å follow each position.
Fractional positions:
Lu (0.3848, 0.3848, 0.3848)  1 Fe 2.39
Lu (0.3848, 0.3848, 0.8455)  1 Fe 2.39
Lu (0.3848, 0.8455, 0.3848)  1 Fe 2.39
Lu (0.8652, 0.8652, 0.4045)  1 Fe 2.39
Lu (0.8652, 0.8652, 0.8652)  1 Fe 2.39
Lu (0.8455, 0.3848, 0.3848)  1 Fe 2.39
Lu (0.8652, 0.4045, 0.8652)  1 Fe 2.39
Lu (0.4045, 0.8652, 0.8652)  1 Fe 2.39
Fe (0.0000, 0.0000, 0.0000)  4 Lu 2.39
Fe (0.2500, 0.2500, 0.2500)  4 Lu 2.39

Results
The calculated formation energy comes out at 435 meV/atom. The space group is Fd-3m (227). The density is 9.3 g/cm³.


# 3
LuFe10Mo2 | PBE-GGA | relaxed
'''


[ 1] Engle, R.F., and Kozicki, S. (1993). Testing for common features. Journal of Business & Economic Statistics, 11, No. 4, 369-380.

- - -
No. 1
Computed, not measured: crystalline Si2H2O3 at its relaxed geometry at the PBE level of DFT.

abc: 8.724 10.265 12.723
angles: 88.11 110.04 115.03
Fractional positions:
Si1 0.294 0.464 0.697
Si2 0.758 0.867 0.504
Si3 0.242 0.099 0.502
Si4 0.117 0.381 0.375
Si5 0.860 0.599 0.002
Si6 0.561 0.725 0.942
Si7 0.113 0.367 0.005
Si8 0.912 0.628 0.612
Si9 0.344 0.583 0.273
Si10 0.714 0.497 0.299
Si11 0.010 0.083 0.773
Si12 0.361 0.751 0.529
Si13 0.992 0.887 0.238
Si14 0.369 0.965 0.196
Si15 0.606 0.225 0.441
Si16 0.138 0.880 0.875
Si17 0.634 0.385 0.738
Si18 0.826 0.131 0.113
Si19 0.580 0.996 0.799
Si20 0.421 0.254 0.028
O1 0.567 0.076 0.328
O2 0.947 0.910 0.813
O3 0.167 0.249 0.475
O4 0.912 0.025 0.618
O5 0.986 0.047 0.164
O6 0.921 0.243 0.263
O7 0.399 0.156 0.444
O8 0.564 0.592 0.275
O9 0.700 0.654 0.943
O10 0.402 0.638 0.648
O11 0.471 0.424 0.746
O12 0.960 0.257 0.057
O13 0.851 0.755 0.556
O14 0.051 0.979 0.380
O15 0.643 0.416 0.158
O16 0.232 0.526 0.118
O17 0.056 0.750 0.975
O18 0.388 0.137 0.146
O19 0.276 0.312 0.043
O20 0.577 0.813 0.540
O21 0.274 0.409 0.312
O22 0.078 0.739 0.763
O23 0.812 0.481 0.877
O24 0.532 0.336 0.324
O25 0.203 0.930 0.246
O26 0.338 0.576 0.829
O27 0.628 0.836 0.824
O28 0.715 0.542 0.659
O29 0.429 0.914 0.659
O30 0.802 0.092 0.774
H1 0.216 0.607 0.082
H2 0.426 0.354 0.327
H3 0.650 0.602 0.652
H4 0.643 0.695 0.278
H5 0.179 0.712 0.781
H6 0.496 0.713 0.714
H7 0.976 0.105 0.582
H8 0.165 0.798 0.049
H9 0.935 0.943 0.398
H10 0.180 0.297 0.548
H11 0.426 0.211 0.211
H12 0.633 0.019 0.368
H13 0.825 0.195 0.775
H14 0.354 0.968 0.626
H15 0.813 0.216 0.282
H16 0.910 0.446 0.895
H17 0.756 0.853 0.827
H18 0.256 0.519 0.868
H19 0.105 0.113 0.161
H20 0.740 0.469 0.126

Computed properties:
* space group: No. 1
* formation energy: -1480 meV/atom
* V: 13.73 Å³/atom
* E_tot: -0.2141 Ha/atom
* total moment: 0.000 μB/atom

***

No. 2
Computed, not measured: crystalline YP5O14 at its relaxed geometry at the PBE level of DFT.

abc: 8.824 9.176 12.852
angles: 90.00 90.00 90.00
Fractional positions:
O1 0.828 0.107 0.872
O2 0.659 0.340 0.881
O3 0.510 0.347 0.365
O4 0.172 0.893 0.128
O5 0.976 0.431 0.346
O6 0.976 0.431 0.154
O7 0.837 0.657 0.528
O8 0.163 0.343 0.028
O9 0.463 0.161 0.750
O10 0.828 0.107 0.628
O11 0.841 0.840 0.381
O12 0.663 0.157 0.028
O13 0.010 0.153 0.365
O14 0.672 0.607 0.372
O15 0.341 0.660 0.119
O16 0.476 0.069 0.346
O17 0.490 0.653 0.865
O18 0.837 0.657 0.972
O19 0.115 0.681 0.496
O20 0.990 0.847 0.635
O21 0.476 0.069 0.154
O22 0.172 0.893 0.372
O23 0.730 0.058 0.250
O24 0.337 0.843 0.528
O25 0.024 0.569 0.846
O26 0.328 0.393 0.628
O27 0.663 0.157 0.472
O28 0.672 0.607 0.128
O29 0.037 0.661 0.250
O30 0.963 0.339 0.750
O31 0.490 0.653 0.635
O32 0.770 0.558 0.750
O33 0.010 0.153 0.135
O34 0.524 0.931 0.654
O35 0.990 0.847 0.865
O36 0.341 0.660 0.381
O37 0.537 0.839 0.250
O38 0.230 0.442 0.250
O39 0.841 0.840 0.119
O40 0.159 0.160 0.881
O41 0.328 0.393 0.872
O42 0.163 0.343 0.472
O43 0.659 0.340 0.619
O44 0.270 0.942 0.750
- - -

[ 2] Engle, R.F and C.W.J. Granger (1987): Co-integration and Error Correction; Representation, Estimation and Testing, Econometrica, Vol. 55, No. 2, 251-276.

[ 3] Engle, R.F, and Susmel, R. (1993). Common Volatility in International Equity Markets. Journal of Business & Economic Statistics , 11, No. 2, 167-176.

[ 4] Frennberg, P. and B. Hansson (1992): Computation of a Monthly Index for Swedish Stock Returns 1919-1989, Scandinavian Economic History Review, Vol. XL, No. 1, 3-27.

[ 5] Frennberg, P. and B. Hansson (1993): Testing the Random Walk Hypothesis on Swedish Stock Prices 1919-1990 Journal of Banking and Finance Vol. 17, No. 1, 175-191.

[ 6] Frennberg, P. and B. Hansson (1993b): Stock Returns and Inflation in Sweden, Paper presented at the 20th Annual Conference of the European Finance Association in Copenhagen, August 1993.

[ 7] Hjerppe, R. (1988): Suomen Talous 1860-1985 Kasvu ja Rakennemuutos. Suomen Pankin julkaisuja, Kasvututkimuksia XIII, Suomen Pankki.

Attached: calculated crystals =
An optimized crystal structure of Sc2NCl2. Source: the Materials Project database, functional GGA-PBE.

a = 3.3697 Å, b = 3.3697 Å, c = 9.5658 Å
α = 90.00°, β = 90.00°, γ = 120.00°
Fractional coordinates of all 5 atoms:
Sc  0.3333  0.6667  0.3758
Sc  0.6667  0.3333  0.6242
N  0.0000  0.0000  0.5000
Cl  0.3333  0.6667  0.8007
Cl  0.6667  0.3333  0.1993

Properties
formation enthalpy at 0 K = -2.23 eV per atom
electronic total energy = -6.9230 eV per atom

An optimized crystal structure of Sc4NCl6. Source: the Materials Project database, functional GGA-PBE.

a = 11.6305 Å, b = 12.1368 Å, c = 3.5066 Å
α = 90.00°, β = 90.00°, γ = 90.00°
Fractional coordinates of all 22 atoms:
Sc  0.1013  0.0776  0.0000
Sc  0.1190  0.8574  0.5000
Sc  0.3810  0.3574  0.5000
Sc  0.3987  0.5776  0.0000
Sc  0.6013  0.4224  0.0000
Sc  0.6190  0.6426  0.5000
Sc  0.8810  0.1426  0.5000
Sc  0.8987  0.9224  0.0000
N  0.0000  0.0000  0.5000
N  0.5000  0.5000  0.5000
Cl  0.0152  0.7424  0.0000
Cl  0.2344  0.1757  0.5000
Cl  0.2414  0.4290  0.0000
Cl  0.2586  0.9290  0.0000
Cl  0.2656  0.6757  0.5000
Cl  0.4848  0.2424  0.0000
Cl  0.5152  0.7576  0.0000
Cl  0.7344  0.3243  0.5000
Cl  0.7414  0.0710  0.0000
Cl  0.7586  0.5710  0.0000
Cl  0.7656  0.8243  0.5000
Cl  0.9848  0.2576  0.0000

Properties
formation enthalpy at 0 K = -2.29 eV per atom
electronic total energy = -6.0271 eV per atom

An optimized crystal structure of Sc5NCl8. Source: the Materials Project database, functional GGA-PBE.

a = 9.2320 Å, b = 9.2320 Å, c = 12.1341 Å
α = 128.93°, β = 128.93°, γ = 21.97°
Fractional coordinates of all 14 atoms:
Sc  0.0000  0.0000  0.0000
Sc  0.1548  0.1548  0.6669
Sc  0.4887  0.4887  0.6109
Sc  0.5113  0.5113  0.3891
Sc  0.8452  0.8452  0.3331
N  0.0000  0.0000  0.5000
Cl  0.0281  0.0281  0.2371
Cl  0.3036  0.3036  0.4368
Cl  0.3314  0.3314  0.1691
Cl  0.3699  0.3699  0.8971
Cl  0.6301  0.6301  0.1029
Cl  0.6686  0.6686  0.8309
Cl  0.6964  0.6964  0.5632
Cl  0.9719  0.9719  0.7629

Properties
formation enthalpy at 0 K = -2.29 eV per atom
electronic total energy = -5.8492 eV per atom

An optimized crystal structure of Se2NCl5. Source: the Materials Project database, functional GGA-PBE.

a = 8.7937 Å, b = 13.1215 Å, c = 18.4434 Å
α = 90.00°, β = 112.99°, γ = 90.00°
Fractional coordinates of all 64 atoms:
Se  0.0446  0.2459  0.4596
Se  0.0446  0.2541  0.9596
Se  0.0989  0.6165  0.9463
Se  0.0989  0.8835  0.4463
Se  0.2546  0.0372  0.8101
Se  0.2546  0.4628  0.3101
Se  0.3934  0.5814  0.2102
Se  0.3934  0.9186  0.7102
Se  0.6066  0.0814  0.2898
Se  0.6066  0.4186  0.7898
Se  0.7454  0.5372  0.6899
Se  0.7454  0.9628  0.1899
Se  0.9011  0.1165  0.5537
Se  0.9011  0.3835  0.0537
Se  0.9554  0.7459  0.0404
Se  0.9554  0.7541  0.5404
N  0.1324  0.7145  0.0190
N  0.1324  0.7855  0.5190
N  0.4286  0.0136  0.7850
N  0.4286  0.4864  0.2850
N  0.5714  0.5136  0.7150
N  0.5714  0.9864  0.2150
N  0.8676  0.2145  0.4810
N  0.8676  0.2855  0.9810
Cl  0.0103  0.2021  0.6694
Cl  0.0103  0.2979  0.1694

[ 8] Knif, J, Pynnönen, S., and Luoma M. (1995). Testing for common autocorrelation features between two Scandinavian stock markets. (In preparation.)

[ 9] Vahid, F., and Engle, R.F. (1993). Common Trends and Common Cycles. Journal of Applied Econometrics, 8, 341-360.